

With her brother missing and serial killer on lose, asuna sets out to investigate what happened to all the victims. But this is not as easy as she thought it would be. Six boys get a little to attached to her and she can't seem to escape. Entering a high school which seems normal only to find out everyone has secrets. Even her family. Secrets yet to be revealed. The tale of 17 year old girl who is searching for a mass murderer. Only to end up losing herself and her freedom . Who is the serial killer and what do they want with her.? Why can't she seem to escape from grasp of six highschool seniors.? Will she survive long enough to uncover the mystery or will this be the last we see of her........

daaniya_bukhari · Masa Muda
Peringkat tidak cukup
45 Chs

An accidental kiss

You finally reached the destination. Subaru stayed back to help with setting up the instrument and told you to go have a look around the park till he got everything settled. You did not even offer to help you were to excited to see where lily was. Knowing her she must be panicking in some corner.

And you were right. You entered the female restroom of the park to find a panicking brunette. Fussing over lipstick shades and eyeliners. You strutted past all the fallen stuff and hugged the younger girl from behind.

"Asuna" lily looked at your reflection from the mirror." you are here. Thank god" she sighed in relief.

" I don't know what lipstick to put. I don't know if I am wearing the right colour. I mean. What shall I do if he hates the colour PURPLE. You know cause of his hair "she cried out as she sank to the floor.

Oh god. It's worse than I thought

== The entry is interrupted by crystal structures ==
+++
(1)
Entry from OQMD: a relaxed AsPd2Pt crystal (PBE).

Lattice parameters (Å, degrees): 6.3003 6.3003 6.3003 90.00 90.00 90.00
With the nearest neighbours (Å) after each atom.
Space group F-43m (No. 216)
Asymmetric unit:
As: 0.0000 0.0000 0.0000  4 Pd 2.73, 4 Pt 2.73
Pd: 0.0000 0.0000 0.5000  4 Pt 2.73, 4 Pd 2.73
Pd: 0.2500 0.2500 0.7500  4 As 2.73, 4 Pd 2.73
Pt: 0.2500 0.2500 0.2500  4 As 2.73, 4 Pd 2.73

Values from the calculation:
- Final energy: -0.1987 hartree per atom

---

(2)
Entry from OQMD: a relaxed HoTaAu crystal (PBE).

Lattice parameters (Å, degrees): 6.6804 6.6804 6.6804 90.00 90.00 90.00
With the nearest neighbours (Å) after each atom.
Space group F-43m (No. 216)
Asymmetric unit:
+++
== End of the crystal structures ==

You knelt down next to her rubbing her back and wiping her eyes." I am sure he does not care. He is a kind boy. He will be happy to see you in whatever you wear"

She wiped her red eyes and asked " are you sure" you nodded.

"Now let's get ready"

After getting her ready and assuring her for the 100th time purple won't get takumi offended you sent her to the designated date spot which was at the centre of the park. You walked back towards the bus.

As you reached the place where it was parked. You saw purple haired male hugging Subaru. Takumi had reached the destination.

He was dressed in his usual jeans and a white hoodie. It wasn't the best choice. But at least he did not wear a black hoodie. You guessed that was a good sign.

"You look stressed " akira commented. As he walked over to you.

" where did you come from.?" you asked surprised. Before he could answer, you continue " No matter takumi come here pls"

The lavender haired male walked towards you happily his smile seemed brightened a bit, maybe cause of his choice in colour of his clothing today. He seemed overjoyed his eyes weren't droopy like usual.

"Take care of lily. I hope you two enjoy" you said to the shy male. He nodded and headed towards the centre.

" Wait " you grabbed his hand. He looked back at you curiously " You like purple don't you. You don't hate it do you" you pressed on.

He looked at you confused " w-why would I hate it --"

"shush. Just say you like it." you said with a sigh.

You saw the shy male walk away. Then you sat down besides Subaru as he set up the final piece of instrument right on the ground besides you. If not careful someone might just trip on it.

Subaru's fingers moved gracefully moved over the keys demonstrating a piece to you.He kept repeating about finding balance between the notes. You watched him with rapt attention, eager to learn. Suddenly akira strolled in smirking. You braced yourself for his cocky remark.

"well, well what do we have here. A private concert in the park" the red head commented.

"just a little lesson. I was teaching asuna some basics. That's all" Subaru said smiling politely continuing the music.

Akira leaned on a nearby tree. Smirk playing on his lips." piano lesson. How quaint. Should have known you were serenading the masses Subaru."

You shot the red haired male a glare, trying to focus on the keys under subaru's guidance. Subaru however was growing impatient with the number of interruption akira was making.

" don't you have somewhere else to be right now akira" Subaru smiled playing rigorously.

Akira caught the underlying message he narrowed his red eyes slightly, but presisted. He did not want to leave your side.

Subaru's patience wavered, a silent warning evident in his eyes as he continued to guide you through the lesson. Akira finally relented, sensing the gravity beneath the silver eyed male's subtle warning.

You were certainly not oblivious to all that eye signals passed between the two male. But you decided to ignore it. He left.

As Akira backed away, his gaze lignered on you, a mixture of pride and admiration brew within him. Aware of his role he decided to cooperate with Subaru.

"why did he leave" you asked as you saw him out of earshot.

"Asuna, " Subaru paused, his eyes meeting yours with a warm smile." Akira has a little photography to attend. I think he mentioned about what a lovely day today seems like"

You glanced back at the direction he disappeared, a hint of suspicion flickering in your eyes." he didn't strike me as the artistic type"

Subaru chuckled softly " well everyone has a hidden side. Shall we continue our lesson.?"

With a nod you focussed on the keys of piano. Doubt still lingering in back of your mind. Meanwhile subaru's mind worked quietly as his plan was already set in motion. His eyes flickered down to yours. Those focused and determined black eyes.

As the lesson continued you saw a familiar figure appear from distance. His ruffly lavender hair stood out even in this distance. You stood up in confusion.

"Takumi. Why are you back?what happened" you exclaimed, puzzled by his unexpected return. Before you could ask further, Takumi's face flushed with embarrassment stumbling awkwardly as he attempted to approach her.

In moment of clumsiness, takumi tripped upon something his lips accidently meeting yours. The park momentarily hushed as stunned silence enveloped them.

You were stunned and astonished. Takumi seemed to flustered to even look at you. He kept looking down his eyes not meeting yours. His apologies were low but you could feel his sincere tone.

Subaru smoothly stepped forward picking up the instrument that caused the trip. With an amused glint in his eyes, he patted takumi on his back reassuringly, a sly smile playing on his lips." it's alright takumi, accidents happen sometimes"

You suddenly remembered that lily was standing alone. Heartbroken possibly. You ran leaving the boys, urgency fueling your steps you finally reached the centre of the park. Searching for lily who sat right by the fountain. As you distanced between the two of you minimized the pungent smell of wet waste increased.

You saw her purple dress was totally spoiled it was as if someone threw garbage can over her.

"What in the world happened here.?" you asked after taking in a full view of your friend.

Lily could barely speak. She cried out words in despair." It was insane. I somehow managed to get dunked by a whole dustbin. I have no idea how." she exhaled in disbelief.

You covered her in your jacket. Removing all the waste from her hair and clothes making her look acceptable again. The stench might not be gone but at least she is cleaner.

You decided that telling her about the accident earlier is a right idea you don't want her to find it from anywhere else not that takumi or Subaru would tell anyone.

Other than these two no one else witnessed the scene. The music club members were on break at that time.

You wanted to take no chance of any mishap but before you could tell her about it. She interrupted you" What happened to that tape of aya's.? Did you get it.?"

Your eyes softened. Even in such a state, even after her date with her long time crush being ruined, all lily cared was about her friend. You smiled triumphly as you raised a old pen drive.

"I have got it. Now aya can rest easy" you said nodding firmly. You managed to track down that senior by today's break and ended up using bit of physical pressure to obtain the tape. That girl was thinking of blackmailing aya and extorting huge sums of money from her in exchange of this pen drive. Not that you would mention any of this to them.

" I am thinking of destroying it. This is the only copy of that bet. " your voice solidified.

You led lily to the dorm room concern etched on your face as you helped lily get in her clean clothes.

Lily was still in shock. She was sad and very frustrated. She couldn't live with the worst first date ever. But seeing you were here to help comfort her. She relished it.

" How did I even manage to get dunked by a whole dustbin" the brunette quietly whispered.

" We will figure it out later" you assured her, handing her a cup of hot cocoa.

Once lily was settled in you took her phone and dialed aya's number. You felt it was necessary to tell her at this moment.

" Aya it's me. " your voice gently echoed " I have it. I have the tape"

" what what ehatttttt" aya's voice was rough as if she had been crying. " really did you find it." she asked in disbelief.

You kept your voice gentle and firm as you continued." yes I did find it. I will destroy it soon. Now you can take your time and confess to inoue about it. Whenever you feel ready. It's your call."

There was a brief pause on line followed by a large thump. You assumed that aya fell down her bed in delight." Thank you so much. So much. Thank you asuna. I will figure it out."

You ended the call knowing you had offered her a chance save her relationship with inoue. Sighing you sat down on the couch.

With burst of energy hayami entered the dorm room engulfing you and lily in an warm embrace.

" I have got you. It will be okay " the blonde girl said.

With flick of her hand Hayami switched on the TV, casting the room in the soft glow of a dramatic series.The plot eerily mirrored the peculiar incident that had unfolded earlier, sending a chill down your spine.

"I'd never believe that! No way it was an accident," Lily asserted firmly, her conviction ringing in the room." I will be back. We need more popcorn don't we. I want to see that girl go to hell"

You saw as lily made her way past the living area towards the kitchen.That's when the weight of guilt settled upon you, rendering you speechless, trapped within the confines of your own thoughts, unable to articulate the turmoil raging within.

" she was like family to her. How could she kiss the guy her bestfriend likes. " hayami muttered in utter disbelief.

"Hayami " you said meeting her gaze with sincerity " you are family to me"

Tears welled in her eyes as she embraced you tightly. This words were what she longed to listen for past 17 years. She could finally hear it made her beyond happy.

" Asuna you are the only family I have ever known. Only person who I would call my family is you" she said happily tears flowing down her chin.

" what did I miss. Did that backstabber get what she deserved. " Lily asked. You two nodded showing that it indeed was not an accident but a planned incident. The girl got what she deserved and main character got their happy ending.

As the night progressed, fatigue crept in. You carefully covered your sleeping friends with a blanket before slipping out quietly, carrying the burden of unspoken words and remorse in every step on your way home.

How can I tell lily what happened